_Wanted_
Your job: set down the lines underneath up to the one that holds "Ir2 0.4081", that line included.

_Given_
********
A geometry-optimized InCuAu2 structure. Source: Alexandria via LeMat-Bulk, functional PBEsol.

```
InCuAu2
1.0
-1.9920 1.9975 4.1535
1.9920 -1.9975 4.1535
1.9920 1.9975 -4.1535
In Cu Au
1 1 2
Cartesian
0.0000 0.0000 0.0000
1.9920 0.0000 2.0769
0.0000 0.0000 4.1482
0.0000 1.9975 2.0739
```

Values from the calculation:
- DOS(E_F): 1.06 states/eV/f.u.
- ΔH_f (0 K): -0.105 eV per atom


A geometry-optimized InCu2Au structure. Source: Alexandria via LeMat-Bulk, functional PBEsol.

```
InCu2Au
1.0
-1.9353 1.9353 4.0190
1.9353 -1.9353 4.0190
1.9353 1.9353 -4.0190
In Cu Au
1 2 1
Cartesian
0.0000 0.0000 0.0000
1.9353 0.0000 2.0095
0.0000 0.0000 4.0190
0.0000 1.9353 2.0095
```

Values from the calculation:
- DOS(E_F): 1.16 states/eV/f.u.
- ΔH_f (0 K): -0.060 eV per atom

----------

DFT (GGA-PBE) results for an optimized crystal structure of NaLaSnPb.

Output
ΔE to the lowest computed polymorph, meV per atom: 98
ΔH_f (0 K), eV per atom: -0.3742
M_tot, μB/cell: 0.00

a = 7.8144 Å, b = 7.8144 Å, c = 7.8144 Å
α = 90.00°, β = 90.00°, γ = 90.00°
Atoms (fractional coordinates):
Na1 0.0000 0.0000 0.0000
Na2 0.0000 0.5000 0.5000
Na3 0.5000 0.0000 0.5000
Na4 0.5000 0.5000 0.0000
La1 0.0000 0.0000 0.5000
La2 0.0000 0.5000 0.0000
La3 0.5000 0.0000 0.0000
La4 0.5000 0.5000 0.5000
Sn1 0.2500 0.2500 0.2500
Sn2 0.2500 0.7500 0.7500
Sn3 0.7500 0.2500 0.7500
Sn4 0.7500 0.7500 0.2500
Pb1 0.2500 0.2500 0.7500
Pb2 0.2500 0.7500 0.2500
Pb3 0.7500 0.2500 0.2500
Pb4 0.7500 0.7500 0.7500

----------

Computed, not measured: IrSO after structural relaxation at the PBE-GGA level of DFT.

E_tot ... -6.37 eV per atom
Raw formation energy ... -1.16 eV per formula unit
Energy relative to the lowest polymorph listed for this composition ... 0.03 eV per formula unit
M_tot ... 0.00 μB per atom

Cell: 11.5725 3.3721 4.5618 Å, 90.00 92.02 90.00°
With the nearest neighbours (Å) after each atom.
Space group Cm (No. 8)
Symmetry-distinct sites (fractional):
Ir1 0.0000 0.0000 0.0000 x2  2 O 2.18, 2 S 2.25
Ir2 0.1636 0.5000 0.7247 x2  4 S 2.24-2.47
S1 0.1045 0.5000 0.1987 x2  4 Ir 2.25-2.47
S2 0.2834 0.0000 0.6267 x2  2 O 1.48-1.59
O1 0.3229 0.0000 0.3223 x2  1 S 1.48
O2 0.4002 0.0000 0.8218 x2  1 S 1.59

---

Computed, not measured: IrSO after structural relaxation at the PBE-GGA level of DFT.

E_tot ... -6.26 eV per atom
Raw formation energy ... -0.84 eV per formula unit
N(E_F) ... 0.93 states/eV/atom
Energy relative to the lowest polymorph listed for this composition ... 0.35 eV per formula unit
M_tot ... 0.00 μB per atom

Cell: 3.3490 3.3490 4.9547 Å, 90.00 90.00 120.00°
With the nearest neighbours (Å) after each atom.
Space group P3m1 (No. 156)
Symmetry-distinct sites (fractional):
Ir1 0.0000 0.0000 0.0000 x1  3 O 2.15, 3 S 2.29
S1 0.6667 0.3333 0.2487 x1  3 Ir 2.29
O1 0.3333 0.6667 0.8113 x1  3 Ir 2.15

---

Computed, not measured: IrSO3 after structural relaxation at the PBE-GGA level of DFT.

E_tot ... -4.68 eV per atom
Raw formation energy ... 4.44 eV per formula unit
N(E_F) ... 0.67 states/eV/atom
M_tot ... 0.59 μB per atom

Cell: 3.7497 3.7497 3.7497 Å, 90.00 90.00 90.00°
With the nearest neighbours (Å) after each atom.
Space group Pm-3m (No. 221)
Symmetry-distinct sites (fractional):
Ir1 0.0000 0.0000 0.0000 x1  12 O 2.65
S1 0.5000 0.5000 0.5000 x1  6 O 1.87
O1 0.0000 0.5000 0.5000 x3  2 S 1.87

---

Computed, not measured: IrSO after structural relaxation at the PBE-GGA level of DFT.

E_tot ... -6.38 eV per atom
Raw formation energy ... -1.19 eV per formula unit
N(E_F) ... 0.68 states/eV/atom
Energy relative to the lowest polymorph listed for this composition ... 0.00 eV per formula unit
M_tot ... 0.00 μB per atom

Cell: 4.9579 3.4367 5.1706 Å, 90.00 97.78 90.00°
With the nearest neighbours (Å) after each atom.
Space group Pm (No. 6)
Symmetry-distinct sites (fractional):
Ir1 0.0000 0.0000 0.0000 x1  1 O 2.01, 2 S 2.23
Ir2 0.4081 0.5000 0.5225 x1  3 O 2.16, 3 S 2.24-2.28
S1 0.2588 0.5000 0.9116 x1  1 O 1.59
S2 0.7086 0.0000 0.6161 x1  3 Ir 2.28-2.29
********

_Worked solution_
A geometry-optimized InCuAu2 structure. Source: Alexandria via LeMat-Bulk, functional PBEsol.

```
InCuAu2
1.0
-1.9920 1.9975 4.1535
1.9920 -1.9975 4.1535
1.9920 1.9975 -4.1535
In Cu Au
1 1 2
Cartesian
0.0000 0.0000 0.0000
1.9920 0.0000 2.0769
0.0000 0.0000 4.1482
0.0000 1.9975 2.0739
```

Values from the calculation:
- DOS(E_F): 1.06 states/eV/f.u.
- ΔH_f (0 K): -0.105 eV per atom


A geometry-optimized InCu2Au structure. Source: Alexandria via LeMat-Bulk, functional PBEsol.

```
InCu2Au
1.0
-1.9353 1.9353 4.0190
1.9353 -1.9353 4.0190
1.9353 1.9353 -4.0190
In Cu Au
1 2 1
Cartesian
0.0000 0.0000 0.0000
1.9353 0.0000 2.0095
0.0000 0.0000 4.0190
0.0000 1.9353 2.0095
```

Values from the calculation:
- DOS(E_F): 1.16 states/eV/f.u.
- ΔH_f (0 K): -0.060 eV per atom

----------

DFT (GGA-PBE) results for an optimized crystal structure of NaLaSnPb.

Output
ΔE to the lowest computed polymorph, meV per atom: 98
ΔH_f (0 K), eV per atom: -0.3742
M_tot, μB/cell: 0.00

a = 7.8144 Å, b = 7.8144 Å, c = 7.8144 Å
α = 90.00°, β = 90.00°, γ = 90.00°
Atoms (fractional coordinates):
Na1 0.0000 0.0000 0.0000
Na2 0.0000 0.5000 0.5000
Na3 0.5000 0.0000 0.5000
Na4 0.5000 0.5000 0.0000
La1 0.0000 0.0000 0.5000
La2 0.0000 0.5000 0.0000
La3 0.5000 0.0000 0.0000
La4 0.5000 0.5000 0.5000
Sn1 0.2500 0.2500 0.2500
Sn2 0.2500 0.7500 0.7500
Sn3 0.7500 0.2500 0.7500
Sn4 0.7500 0.7500 0.2500
Pb1 0.2500 0.2500 0.7500
Pb2 0.2500 0.7500 0.2500
Pb3 0.7500 0.2500 0.2500
Pb4 0.7500 0.7500 0.7500

----------

Computed, not measured: IrSO after structural relaxation at the PBE-GGA level of DFT.

E_tot ... -6.37 eV per atom
Raw formation energy ... -1.16 eV per formula unit
Energy relative to the lowest polymorph listed for this composition ... 0.03 eV per formula unit
M_tot ... 0.00 μB per atom

Cell: 11.5725 3.3721 4.5618 Å, 90.00 92.02 90.00°
With the nearest neighbours (Å) after each atom.
Space group Cm (No. 8)
Symmetry-distinct sites (fractional):
Ir1 0.0000 0.0000 0.0000 x2  2 O 2.18, 2 S 2.25
Ir2 0.1636 0.5000 0.7247 x2  4 S 2.24-2.47
S1 0.1045 0.5000 0.1987 x2  4 Ir 2.25-2.47
S2 0.2834 0.0000 0.6267 x2  2 O 1.48-1.59
O1 0.3229 0.0000 0.3223 x2  1 S 1.48
O2 0.4002 0.0000 0.8218 x2  1 S 1.59

---

Computed, not measured: IrSO after structural relaxation at the PBE-GGA level of DFT.

E_tot ... -6.26 eV per atom
Raw formation energy ... -0.84 eV per formula unit
N(E_F) ... 0.93 states/eV/atom
Energy relative to the lowest polymorph listed for this composition ... 0.35 eV per formula unit
M_tot ... 0.00 μB per atom

Cell: 3.3490 3.3490 4.9547 Å, 90.00 90.00 120.00°
With the nearest neighbours (Å) after each atom.
Space group P3m1 (No. 156)
Symmetry-distinct sites (fractional):
Ir1 0.0000 0.0000 0.0000 x1  3 O 2.15, 3 S 2.29
S1 0.6667 0.3333 0.2487 x1  3 Ir 2.29
O1 0.3333 0.6667 0.8113 x1  3 Ir 2.15

---

Computed, not measured: IrSO3 after structural relaxation at the PBE-GGA level of DFT.

E_tot ... -4.68 eV per atom
Raw formation energy ... 4.44 eV per formula unit
N(E_F) ... 0.67 states/eV/atom
M_tot ... 0.59 μB per atom

Cell: 3.7497 3.7497 3.7497 Å, 90.00 90.00 90.00°
With the nearest neighbours (Å) after each atom.
Space group Pm-3m (No. 221)
Symmetry-distinct sites (fractional):
Ir1 0.0000 0.0000 0.0000 x1  12 O 2.65
S1 0.5000 0.5000 0.5000 x1  6 O 1.87
O1 0.0000 0.5000 0.5000 x3  2 S 1.87

---

Computed, not measured: IrSO after structural relaxation at the PBE-GGA level of DFT.

E_tot ... -6.38 eV per atom
Raw formation energy ... -1.19 eV per formula unit
N(E_F) ... 0.68 states/eV/atom
Energy relative to the lowest polymorph listed for this composition ... 0.00 eV per formula unit
M_tot ... 0.00 μB per atom

Cell: 4.9579 3.4367 5.1706 Å, 90.00 97.78 90.00°
With the nearest neighbours (Å) after each atom.
Space group Pm (No. 6)
Symmetry-distinct sites (fractional):
Ir1 0.0000 0.0000 0.0000 x1  1 O 2.01, 2 S 2.23
Ir2 0.4081 0.5000 0.5225 x1  3 O 2.16, 3 S 2.24-2.28